A box of samples inspire a Homer Simpson moment. Mmmmmmm…
We get lots of samples, sometimes so many that we have to really put in the effort to properly taste test everything. I can just hear you all oozing sympathy for us. Rare is the sample shipment that still excites my jaded crew. Nothing like truffle products to perk us up.
This morning, we got a box of truffle products and fresh truffles from a new potential vendor. Since I don’t want to leave anyone out, we’ll wait until Katy gets back from vacation next week to test these out. For the curiouser among you … here’s a guide to tasting truffle products. The guide is specifically written for truffle oils, but it applies equally to other truffle products. And, if you want to take it to the next level … rather than rubbing the oil on your hand, rub it on your lover! I can tell you this: I will eat my wife up any day of the week, but rub some truffles on her and I’ll be all over her like a truffle-hunting pig on a pine tree.
# Li4TiS4 (PBE-GGA, optimized geometry)
data_Li4TiS4
_symmetry_space_group_name_H-M 'P 1 21/c 1'
_symmetry_Int_Tables_number 14
_symmetry_space_group_name_Hall '-P 2ybc'
_cell_length_a 7.235
_cell_length_b 7.226
_cell_length_c 13.045
_cell_angle_alpha 90.00
_cell_angle_beta 102.82
_cell_angle_gamma 90.00
loop_
_atom_site_label
_atom_site_type_symbol
_atom_site_fract_x
_atom_site_fract_y
_atom_site_fract_z
_atom_site_occupancy
Li1 Li 0.001 0.018 0.364 1
Li2 Li 0.177 0.080 0.111 1
Li3 Li 0.398 0.725 0.859 1
Li4 Li 0.419 0.684 0.112 1
Ti1 Ti 0.211 0.100 0.876 1
S1 S 0.078 0.667 0.723 1
S2 S 0.185 0.656 0.471 1
S3 S 0.299 0.153 0.485 1
S4 S 0.424 0.047 0.773 1
# energy relative to the elements: -1.4889 eV per atom
# size of the total moment: 0.0 μB/cell
# E_tot: -4.83 eV per atom
# total energy after the MP2020 corrections: -181.91 eV for the cell shown


# LiTi2S4 (PBE-GGA, optimized geometry)
data_LiTi2S4
_symmetry_space_group_name_H-M 'C 1 2/m 1'
_symmetry_Int_Tables_number 12
_symmetry_space_group_name_Hall '-C 2y'
_cell_length_a 13.761
_cell_length_b 3.423
_cell_length_c 5.910
_cell_angle_alpha 90.00
_cell_angle_beta 114.59
_cell_angle_gamma 90.00
loop_
_atom_site_label
_atom_site_type_symbol
_atom_site_fract_x
_atom_site_fract_y
_atom_site_fract_z
_atom_site_occupancy
Li1 Li 0.000 0.000 0.000 1
Ti1 Ti 0.246 0.500 0.739 1
S1 S 0.132 0.000 0.467 1
S2 S 0.136 0.500 0.974 1
# energy relative to the elements: -1.6791 eV per atom
# E_tot: -6.28 eV per atom
# total energy after the MP2020 corrections: -92.00 eV for the cell shown


# Li2Ti2S5 (PBE-GGA, optimized geometry)
data_Li2Ti2S5
_symmetry_space_group_name_H-M 'C 1 2/c 1'
_symmetry_Int_Tables_number 15
_symmetry_space_group_name_Hall '-C 2yc'
_cell_length_a 10.551
_cell_length_b 6.227
_cell_length_c 11.918
_cell_angle_alpha 90.00
_cell_angle_beta 114.89
_cell_angle_gamma 90.00
loop_
_atom_site_label
_atom_site_type_symbol
_atom_site_fract_x
_atom_site_fract_y
_atom_site_fract_z
_atom_site_occupancy
Li1 Li 0.190 0.134 0.324 1
Ti1 Ti 0.088 0.339 0.942 1
S1 S 0.000 0.144 0.750 1
S2 S 0.083 0.396 0.138 1
S3 S 0.213 0.001 0.039 1
# energy relative to the elements: -1.5150 eV per atom
# size of the total moment: 0.0 μB/cell
# E_tot: -5.71 eV per atom
# total energy after the MP2020 corrections: -215.71 eV for the cell shown

=====

The following is a PBE+U calculation of a relaxed structure of Tl2Ni2Mo3O12, from Materials Project.

Cell and atoms, written as extended XYZ:
```
76
Lattice="10.865 0.000 0.000 0.000 10.865 0.000 0.000 0.000 10.865" Properties=species:S:1:pos:R:3 pbc="T T T"
Tl 0.593 0.593 0.593
Tl 1.934 3.498 7.367
Tl 3.498 7.367 1.934
Tl 4.840 10.272 6.025
Tl 6.025 4.840 10.272
Tl 7.367 1.934 3.498
Tl 8.931 8.931 8.931
Tl 10.272 6.025 4.840
Ni 1.150 9.715 4.282
Ni 1.775 7.207 9.090
Ni 3.657 3.657 3.657
Ni 4.282 1.150 9.715
Ni 6.582 6.582 6.582
Ni 7.207 9.090 1.775
Ni 9.090 1.775 7.207
Ni 9.715 4.282 1.150
Mo 0.248 2.271 4.091
Mo 1.342 10.617 7.704
Mo 2.271 4.091 0.248
So much for the materials data:
To make sure we are constantly spreading the sample love around … We are looking for a product tester for a new line of risotto rices. Arborio is not necessarily where
it is at … that’s just the entry level. Then comes Carnaroli … then Vialone Nano. And, there’s also integrale. I have a little box of a cup of each of the four rices for one of you. All I ask in return is that you test them out and write a review on either your blog or ours…I would love an insightful articulation of the differences between the varieties. For a starting point, check out our guide to risotto rice. Leave a comment below if you are interested and I’ll hook someone up.
Am I interested??? Yep. Please put me on your list of wannabes.
ANYTIME you need someone to do anything like this, let me know! I love experimenting!
you know you can hook me and I will hook you right back –
Well, duh. Of course I’ll review risotto for you. It’ll help me figure out what to do with the rest of my mushrooms.
OH YES, PLEASE! I have some fall risotto recipes I’ve been wanting to try out!
Very interested. I’ll do 2 tests: (i) make the same basic recipe with all four products (ii) make 4 different risotto recipes with each of the rices based on the results of the first test. I’ll send you the feedback from my test kitchen.
I think you are gross.. Does your wife know you post personal things like that?
p.s. send me things
What’s up Kerry, my dear sister-in-law … Tara loves it. He he. Send you some things? Of course. What would you like?
Sorry Justin for calling your statements gross… She is my sister and I get protective, still 🙂
What would I like?
Do you carry jams? hahaha
I wish I had some jam for you, ker … but I think that someone over at France’s TSA equivalent is enjoying it. Check out this list … and email me with what you want: http://marxfood.com/looking-for-some-guest-bloggers%e2%80%a6/
Coconut Sugar? Because I’m so sweet 🙂
OK, then … if we are picking by your character type, I’ll be sure to add all the sweet stuff, some beautiful ingredients, a couple sour, a couple spicy and some shit that will make you laugh.